Being a financial dork of the highest order, it should go without saying that I love spreadsheets. And I particularly enjoy the process of building good, useful ones.
Having been a spreadsheet aficionado for many years now, I thought it might be fun to scribble down a few of the “rules of thumb” for spreadsheet creation which I’ve learned over this time.
(Not only do I make free and for-pay financial spreadsheets for web surfers at large, but my Day Job involves lots of spreadsheet use, too. And many of these spreadsheets get distributed throughout the company, for use by everyone from fresh-faced newbies to blurry-eyed Excel veterans.)
That said, here are a few of my personal “Rules for Creating Spreadsheets That Don’t Suck.”
Tip #1: Spreadsheets For You ≠ Spreadsheets You Distribute
You might be able to get away with leaving cells unlocked (and the worksheet unprotected) in a spreadsheet you make for your own use, since you as Spreadsheet Creator presumably know what goes where. But that won’t fly with spreadsheets that you distribute for use by others.
There’s just no telling what someone else will type, nor where they’ll type it. Let’s face it: Stray key-punches are a fact of life. Get a homeless [SPACEBAR] entered into a vital, formula-holding cell, and an entire spreadsheet can detonate.
And that ain’t good.
So be sure to unlock ONLY those cells where users are expected to enter data…

… and then PROTECT that worksheet!

[Data records from another source follow]
-- begin --
Entry 1:
The following is a DFT calculation (ωB97M-V/def2-TZVPD) of 2 unconnected molecules or ions with the total composition C3H10NO.

Positions of all 15 atoms, in Å:
N -1.08 -2.03 -1.91
H -2.01 -2.44 -1.96
H -1.13 -1.24 -1.24
H -0.87 -1.67 -2.83
C -0.80 0.84 0.93
O -1.32 0.05 -0.04
C 0.66 1.26 0.67
C 1.58 0.06 0.55
H -0.80 0.36 1.94
H -1.37 1.79 1.09
H 1.02 1.94 1.46
H 0.66 1.83 -0.27
H 2.60 0.35 0.28
H 1.21 -0.65 -0.18
H 1.66 -0.45 1.52

Values from the calculation:
energy relative to the best compared isomer or geometry (same formula, charge and spin): 0.8 kcal/mol
HOMO level: -2.594 eV
total charge: -1
HOMO-LUMO gap: 7.20 eV
LUMO level: 4.6 eV


Entry 2:
The following is a DFT calculation (ωB97M-V/def2-TZVPD) of 5 unconnected molecules or ions with the total composition C33H64F3IN2O10PS4 at a distorted geometry.

Positions of all 118 atoms, in Å:
C -7.05 -4.27 1.57
C -6.09 -4.64 2.18
C -4.90 -5.03 2.94
C -4.15 -3.83 3.55
C -2.67 -4.16 3.85
C -1.51 -3.37 3.18
C -0.23 -3.95 3.99
C 0.45 -2.95 4.95
C 0.82 -4.60 3.07
C 1.98 -5.19 3.91
O -1.31 -3.71 1.83
P -1.55 -2.48 0.60
C 0.32 -2.27 0.39
C 1.16 -1.53 1.45
C 1.26 0.00 1.23
C 0.52 0.83 2.28
N 1.20 2.16 2.45
C 1.91 2.23 3.72
C 0.26 3.23 2.30
C -0.77 3.46 3.40
O 0.30 3.93 1.32
C -3.51 -2.95 0.60
C -4.04 -3.29 -0.75
O -4.67 -2.62 -1.49
I -3.59 -5.35 -1.44
C -2.01 -1.03 -0.58
F -1.38 0.18 -0.17
C -1.62 -1.21 -2.04
C -2.41 -0.22 -2.92
O -1.71 -1.33 1.93
C -1.62 -1.84 3.21
N -2.81 -1.27 3.98
C -2.47 -0.85 5.27
O -1.95 0.16 5.61
F -2.76 -1.78 6.19
C -3.53 -0.31 3.22
O -4.53 -0.54 2.63
F -3.05 0.94 3.27
H -7.94 -4.09 1.01
H -4.25 -5.62 2.28
H -5.23 -5.71 3.73
H -4.64 -3.62 4.50
H -4.30 -2.95 2.94
H -2.48 -5.19 3.53
H -2.52 -4.13 4.93
H -0.57 -4.77 4.62
H -0.25 -2.24 5.38
H 0.84 -3.51 5.81
H 1.30 -2.43 4.51
H 0.38 -5.44 2.53
H 1.26 -3.88 2.38
H 2.53 -5.90 3.28
H 1.62 -5.73 4.79
H 2.69 -4.41 4.20
H -1.46 -3.42 -0.49
H 0.69 -3.29 0.32
H 0.56 -1.80 -0.57
H 0.88 -1.77 2.48
H 2.18 -1.91 1.34
H 2.30 0.30 1.29
H 0.93 0.25 0.23
H 0.60 0.31 3.24
H -0.52 0.99 2.01
H 2.34 3.22 3.88
H 1.28 1.99 4.59
H 2.72 1.50 3.69
H -1.32 2.54 3.57
H -1.41 4.29 3.12
H -0.23 3.69 4.32
H -4.16 -2.17 0.99
H -3.62 -3.87 1.16
H -3.08 -0.81 -0.51
H -0.56 -0.97 -2.15
H -1.82 -2.22 -2.39
H -3.46 -0.53 -2.96
H -2.39 0.77 -2.47
H -2.00 -0.16 -3.93
H -0.75 -1.33 3.65
C 6.69 -0.53 0.74
S 5.34 -1.67 0.42
O 4.13 -1.10 1.08
C 5.94 -2.98 1.49
H 6.49 0.39 0.20
H 6.75 -0.32 1.81
H 7.63 -0.97 0.39
H 6.04 -2.61 2.51
H 6.89 -3.35 1.12
H 5.20 -3.78 1.47
C 1.29 2.73 -6.43
S -0.20 1.86 -5.94
O 0.20 0.88 -4.90
C -0.40 0.95 -7.48
H 1.62 3.34 -5.59
H 2.06 2.01 -6.69
H 1.08 3.38 -7.28
H 0.49 0.35 -7.66
H -0.57 1.65 -8.30
H -1.27 0.30 -7.37
C 3.42 7.41 -8.89
S 1.89 6.58 -8.44
O 2.24 5.57 -7.41
C 1.70 5.69 -9.99
H 3.75 7.99 -8.03
H 4.18 6.67 -9.14
H 3.24 8.08 -9.74
H 2.58 5.07 -10.17
H 1.57 6.40 -10.81
H 0.81 5.07 -9.91
C 0.50 6.84 -0.43
S 2.01 6.51 -1.34
O 2.90 7.69 -1.16
C 1.28 6.66 -2.98
H 0.74 6.83 0.63
H 0.12 7.82 -0.72
H -0.22 6.05 -0.64
-- stop --

Tip #2: Appearance freakin’ matters.
We’ve all seen them: Spreadsheets emailed to us by coworkers with NO idea of how to arrange and design data in a way that makes sense. Cell text overruns gridlines like snakes dumped on a chessboard; instructions are vague at best; you couldn’t make the page suitable for printing if you taped three sheets of legal paper end to end. What goes where? What’s that army of “#####” symbols in Column G supposed to signify? Should I enter new data in Cell R3, or not? Good luck figuring all this out without going thru every cell by hand … and taking notes.
Yeah. So, without any sort of cell formatting (read: background colors, borders, and so on) and coherent design to guide us, the actual usability of Coworker’s Latest Creation plummets so fast that it takes an act of God to keep this Excel disaster from being clicked ‘n’ dragged to a Recycle Bin demise.
In other words, appearance matters. A little cell formatting — often as simple as some understated background colors in those cells where data should be user-entered, with white for everything else — goes a long, long way. The latest versions of Excel provide a metric crap-load of tools to make your spreadsheets look decent. CELL → FORMAT is nothing to be afraid of, you know.
In other words, the best spreadsheets are a joy to look at, and work with. And the BEST best ones don’t look like spreadsheets at all.
Tip #3: Gridlines Are Bad. White space is good.
Plus, it’s easy on your printer. So use it liberally.
(This includes getting rid of gridlines, and instead manually creating cell borders when necessary. Unused oceans of gridlines are the devil.)
Tip #4: Color is most effective when used sparingly.
Remember what I said about using color above? Well, don’t go overboard with that. Personally, I like to color (and unlock!) only those cells where users will need to enter data. All other cells are left white. (And locked!)
Tip #5: Provide Detailed Labels and Notes…
Thinking a field is “self-explanatory” courts disaster. You pretty much have to get inside the user’s mind and consider this stuff; you ponder what they’ll be thinking and seeing and deciding. Any guidance you can give that helps get the user’s Datapoint A into the correct cell will pay off big.
Tip #6: …But Remember That Most People Don’t Read.
Nobody reads a darn thing anymore. I’m fairly confident that 99% of users start hammering numbers into most spreadsheets without throwing so much as a glance as the “Instructions & Notes” worksheets I almost always provide. But that’s the world we live in.
Build with the 99% in mind, but put some time into decent worksheet notes, too. Appreciate the 1%.
Tip #7: Gonna distribute? Use version numbers!
This is most applicable if you’re building spreadsheets for business use, where more than one person will be using the program. But it can also be helpful if you’re distributing your Excel creations on the internet.
By applying version numbers to your spreadsheets, you make it easier for users to know which iteration they’re working with. It also makes it a snap to determine if the spreadsheet version that Ron, your nosey coworker in Cubicle B3, is working on is newer and better than yours.
Tip #8: When possible, place column SUM formulas at the top of the data they tabulate.
This is kind of a little thing, but man, has it made my spreadsheeting life easier.
One of the great features of spreadsheets is their ability to analyze ever-changing amounts of data. However, when you build a spreadsheet to account for, say, a column with 100 rows of data which need to be totaled up, you might as well plan on that spreadsheet someday needing to total up 200 rows instead. So to make such a change easier, put your SUM formulas ABOVE the column’s uppermost data cell.
I know that for myself, it’s almost instinctive to want to total up columns (when that’s what is required) at the bottom of the current data. (Thanks, every math teacher I ever had!)
Here’s an example:

However, placing the TOTALS (or whatever formula you need) at the top of each column’s data makes it much easier to expand your data “downward” later:

With formulas at the column tops, you won’t have to go to the trouble of inserting rows (and possibly hosing your formulas) later on, when the need for more data becomes official … as it seemingly always does.
Dan wrote:
Love the tips, speaking from a fellow lover of all things excel! I might not agree with using the gridlines sparingly. But the last tip is brilliant. I might add that when necessary make the right adjustments to make the spreadsheet “print ready” so that no annoying partial pages end up getting printed.